Could you restate the whole of the data further below without additions?

********
Entry 1:
# HCl
Computed powder XRD pattern, Cu Kα, 1.54184 Å. Input: a GGA-PBE-relaxed structure.
Kinematic intensities with the Lorentz-polarization factor, no thermal factor.

Top 10 peaks for 10° ≤ 2θ ≤ 90°, most intense first:
two_theta	intensity
26.8	100.0
25.5	32.2
45.8	18.7
33.4	12.6
42.5	12.3
33.7	10.6
42.8	10.0
55.8	9.4
55.3	9.1
48.2	7.3

Atomic structure:
Unit cell a=4.384 b=4.384 c=5.368 alpha=90.00 beta=90.00 gamma=74.62
Fractional coordinates of all 4 atoms:
1 H 0.066 0.934 0.500
2 H 0.934 0.066 0.000
3 Cl 0.221 0.779 0.312
4 Cl 0.779 0.221 0.812



Entry 2:
# NaTi3F7
Computed powder XRD pattern, Cu Kα, 1.54184 Å. Input: a GGA-PBE-relaxed structure.
Kinematic intensities with the Lorentz-polarization factor, no thermal factor.

Top 10 peaks for 10° ≤ 2θ ≤ 90°, most intense first:
two_theta	intensity
30.3	100.0
29.4	72.6
49.7	60.3
50.3	39.5
29.0	38.5
47.3	30.7
50.1	27.5
59.2	24.7
56.9	24.6
33.9	23.3

Atomic structure:
Unit cell a=7.273 b=7.273 c=7.688 alpha=121.21 beta=121.21 gamma=60.09
Fractional coordinates of all 22 atoms:
1 Na 0.000 0.000 0.000
2 Na 0.000 0.000 0.500
3 Ti 0.000 0.500 0.000
4 Ti 0.000 0.500 0.500
5 Ti 0.500 0.000 0.000
6 Ti 0.500 0.000 0.500
7 Ti 0.500 0.500 0.000
8 Ti 0.500 0.500 0.500
9 F 0.127 0.543 0.829
10 F 0.143 0.161 0.425
11 F 0.161 0.143 0.925
12 F 0.189 0.645 0.321
13 F 0.355 0.811 0.179
14 F 0.363 0.637 0.750
15 F 0.457 0.873 0.671
16 F 0.543 0.127 0.329
17 F 0.637 0.363 0.250
18 F 0.645 0.189 0.821
19 F 0.811 0.355 0.679
20 F 0.839 0.857 0.075
21 F 0.857 0.839 0.575
22 F 0.873 0.457 0.171



Entry 3:
# UAs
Computed powder XRD pattern, Cu Kα, 1.54184 Å. Input: a GGA-PBE-relaxed structure.
Kinematic intensities with the Lorentz-polarization factor, no thermal factor.

Top 10 peaks for 10° ≤ 2θ ≤ 90°, most intense first:
two_theta	intensity
30.9	100.0
44.2	75.7
26.7	45.4
73.1	35.8
81.4	27.4
54.9	27.0
52.4	23.3
64.4	12.7
71.0	10.2
87.6	8.6

Atomic structure:
Unit cell a=4.094 b=4.094 c=4.094 alpha=60.00 beta=60.00 gamma=60.00
Fractional coordinates of all 2 atoms:
1 U 0.000 0.000 0.000
2 As 0.500 0.500 0.500



Entry 4:
# UNbN2
Computed powder XRD pattern, Cu Kα, 1.54184 Å. Input: a GGA-PBE-relaxed structure.
Kinematic intensities with the Lorentz-polarization factor, no thermal factor.

Top 10 peaks for 10° ≤ 2θ ≤ 90°, most intense first:
two_theta	intensity
35.8	100.0
32.6	27.7
28.9	27.6
32.4	27.2
57.0	17.8
40.3	14.7
49.9	14.3
67.1	14.2
62.2	14.1
60.0	13.5

Atomic structure:
Unit cell a=5.672 b=3.241 c=11.062 alpha=90.00 beta=90.00 gamma=90.00
Fractional coordinates of all 16 atoms:
1 U 0.077 0.250 0.144
2 U 0.423 0.750 0.644
3 U 0.577 0.250 0.356
4 U 0.923 0.750 0.856
5 Nb 0.076 0.750 0.400
6 Nb 0.424 0.250 0.900
7 Nb 0.576 0.750 0.100
8 Nb 0.924 0.250 0.600
9 N 0.161 0.250 0.756
10 N 0.232 0.750 0.997
11 N 0.268 0.250 0.497
12 N 0.339 0.750 0.256
13 N 0.661 0.250 0.744
14 N 0.732 0.750 0.503
15 N 0.768 0.250 0.003
16 N 0.839 0.750 0.244



Entry 5:
# LuPO4
Computed powder XRD pattern, Cu Kα, 1.54184 Å. Input: a GGA-PBE-relaxed structure.
Kinematic intensities with the Lorentz-polarization factor, no thermal factor.

Top 10 peaks for 10° ≤ 2θ ≤ 90°, most intense first:
two_theta	intensity
26.1	100.0
35.4	67.9
19.8	67.7
52.3	54.8
32.9	29.8
37.2	22.0
42.5	21.9
50.5	21.7
65.9	15.8
53.7	14.3

Atomic structure:
Unit cell a=5.677 b=5.677 c=5.677 alpha=106.01 beta=106.01 gamma=116.65
Fractional coordinates of all 12 atoms:
1 Lu 0.375 0.625 0.750
2 Lu 0.625 0.375 0.250
3 P 0.125 0.875 0.250
4 P 0.875 0.125 0.750
5 O 0.138 0.711 0.427
6 O 0.216 0.289 0.927
7 O 0.289 0.216 0.427
8 O 0.289 0.862 0.073
9 O 0.711 0.138 0.927
10 O 0.711 0.784 0.573
11 O 0.784 0.711 0.073
12 O 0.862 0.289 0.573



Entry 6:
# AlV3
Computed powder XRD pattern, Cu Kα, 1.54184 Å. Input: a GGA-PBE-relaxed structure.
Kinematic intensities with the Lorentz-polarization factor, no thermal factor.

Top 10 peaks for 10° ≤ 2θ ≤ 90°, most intense first:
two_theta	intensity
42.0	100.0
46.2	44.2
37.4	21.1
73.7	20.1
70.6	18.3
********

Entry 1:
# HCl
Computed powder XRD pattern, Cu Kα, 1.54184 Å. Input: a GGA-PBE-relaxed structure.
Kinematic intensities with the Lorentz-polarization factor, no thermal factor.

Top 10 peaks for 10° ≤ 2θ ≤ 90°, most intense first:
two_theta	intensity
26.8	100.0
25.5	32.2
45.8	18.7
33.4	12.6
42.5	12.3
33.7	10.6
42.8	10.0
55.8	9.4
55.3	9.1
48.2	7.3

Atomic structure:
Unit cell a=4.384 b=4.384 c=5.368 alpha=90.00 beta=90.00 gamma=74.62
Fractional coordinates of all 4 atoms:
1 H 0.066 0.934 0.500
2 H 0.934 0.066 0.000
3 Cl 0.221 0.779 0.312
4 Cl 0.779 0.221 0.812



Entry 2:
# NaTi3F7
Computed powder XRD pattern, Cu Kα, 1.54184 Å. Input: a GGA-PBE-relaxed structure.
Kinematic intensities with the Lorentz-polarization factor, no thermal factor.

Top 10 peaks for 10° ≤ 2θ ≤ 90°, most intense first:
two_theta	intensity
30.3	100.0
29.4	72.6
49.7	60.3
50.3	39.5
29.0	38.5
47.3	30.7
50.1	27.5
59.2	24.7
56.9	24.6
33.9	23.3

Atomic structure:
Unit cell a=7.273 b=7.273 c=7.688 alpha=121.21 beta=121.21 gamma=60.09
Fractional coordinates of all 22 atoms:
1 Na 0.000 0.000 0.000
2 Na 0.000 0.000 0.500
3 Ti 0.000 0.500 0.000
4 Ti 0.000 0.500 0.500
5 Ti 0.500 0.000 0.000
6 Ti 0.500 0.000 0.500
7 Ti 0.500 0.500 0.000
8 Ti 0.500 0.500 0.500
9 F 0.127 0.543 0.829
10 F 0.143 0.161 0.425
11 F 0.161 0.143 0.925
12 F 0.189 0.645 0.321
13 F 0.355 0.811 0.179
14 F 0.363 0.637 0.750
15 F 0.457 0.873 0.671
16 F 0.543 0.127 0.329
17 F 0.637 0.363 0.250
18 F 0.645 0.189 0.821
19 F 0.811 0.355 0.679
20 F 0.839 0.857 0.075
21 F 0.857 0.839 0.575
22 F 0.873 0.457 0.171



Entry 3:
# UAs
Computed powder XRD pattern, Cu Kα, 1.54184 Å. Input: a GGA-PBE-relaxed structure.
Kinematic intensities with the Lorentz-polarization factor, no thermal factor.

Top 10 peaks for 10° ≤ 2θ ≤ 90°, most intense first:
two_theta	intensity
30.9	100.0
44.2	75.7
26.7	45.4
73.1	35.8
81.4	27.4
54.9	27.0
52.4	23.3
64.4	12.7
71.0	10.2
87.6	8.6

Atomic structure:
Unit cell a=4.094 b=4.094 c=4.094 alpha=60.00 beta=60.00 gamma=60.00
Fractional coordinates of all 2 atoms:
1 U 0.000 0.000 0.000
2 As 0.500 0.500 0.500



Entry 4:
# UNbN2
Computed powder XRD pattern, Cu Kα, 1.54184 Å. Input: a GGA-PBE-relaxed structure.
Kinematic intensities with the Lorentz-polarization factor, no thermal factor.

Top 10 peaks for 10° ≤ 2θ ≤ 90°, most intense first:
two_theta	intensity
35.8	100.0
32.6	27.7
28.9	27.6
32.4	27.2
57.0	17.8
40.3	14.7
49.9	14.3
67.1	14.2
62.2	14.1
60.0	13.5

Atomic structure:
Unit cell a=5.672 b=3.241 c=11.062 alpha=90.00 beta=90.00 gamma=90.00
Fractional coordinates of all 16 atoms:
1 U 0.077 0.250 0.144
2 U 0.423 0.750 0.644
3 U 0.577 0.250 0.356
4 U 0.923 0.750 0.856
5 Nb 0.076 0.750 0.400
6 Nb 0.424 0.250 0.900
7 Nb 0.576 0.750 0.100
8 Nb 0.924 0.250 0.600
9 N 0.161 0.250 0.756
10 N 0.232 0.750 0.997
11 N 0.268 0.250 0.497
12 N 0.339 0.750 0.256
13 N 0.661 0.250 0.744
14 N 0.732 0.750 0.503
15 N 0.768 0.250 0.003
16 N 0.839 0.750 0.244



Entry 5:
# LuPO4
Computed powder XRD pattern, Cu Kα, 1.54184 Å. Input: a GGA-PBE-relaxed structure.
Kinematic intensities with the Lorentz-polarization factor, no thermal factor.

Top 10 peaks for 10° ≤ 2θ ≤ 90°, most intense first:
two_theta	intensity
26.1	100.0
35.4	67.9
19.8	67.7
52.3	54.8
32.9	29.8
37.2	22.0
42.5	21.9
50.5	21.7
65.9	15.8
53.7	14.3

Atomic structure:
Unit cell a=5.677 b=5.677 c=5.677 alpha=106.01 beta=106.01 gamma=116.65
Fractional coordinates of all 12 atoms:
1 Lu 0.375 0.625 0.750
2 Lu 0.625 0.375 0.250
3 P 0.125 0.875 0.250
4 P 0.875 0.125 0.750
5 O 0.138 0.711 0.427
6 O 0.216 0.289 0.927
7 O 0.289 0.216 0.427
8 O 0.289 0.862 0.073
9 O 0.711 0.138 0.927
10 O 0.711 0.784 0.573
11 O 0.784 0.711 0.073
12 O 0.862 0.289 0.573



Entry 6:
# AlV3
Computed powder XRD pattern, Cu Kα, 1.54184 Å. Input: a GGA-PBE-relaxed structure.
Kinematic intensities with the Lorentz-polarization factor, no thermal factor.

Top 10 peaks for 10° ≤ 2θ ≤ 90°, most intense first:
two_theta	intensity
42.0	100.0
46.2	44.2
37.4	21.1
73.7	20.1
70.6	18.3